What to do:
Say how many lines of the contents further down hold the word "mass", as a bare number, please.
Entries:
=====
Record 1
An isolated molecule of C2H5Br2P, computed with wB97M-V/def2-TZVPD.

The calculation puts the molar mass at 219.844 g mol⁻¹. The total energy comes out at -5568.5255 Ha. The energy above the lowest of the compared OMol25 structures with the same formula, charge and spin comes out at 2.653 eV. For the HOMO energy, the calculation gives -9.57 eV. The LUMO energy comes out at 0.4204 eV. As for the spin multiplicity: 1. Its HOMO-LUMO gap is 9.993 eV. The SMILES is PCC(Br)Br.

Last column: natural (NBO) charge in e.
Cartesian coordinates (Å):
C1 0.12526 -0.46851 0.16749  -0.748
C2 -1.17427 -0.02384 -0.42022  -0.341
P1 1.60300 0.60215 -0.37992  0.329
Br1 -1.59327 1.80430 0.14980  0.040
Br2 -2.51844 -1.38385 0.04694  0.037
H1 0.17860 -0.46286 1.25293  0.247
H2 0.45301 -1.54737 0.08952  0.265
H3 -1.21473 0.12240 -1.61617  0.262
H4 2.45722 -0.15809 0.15964  -0.055
H5 1.68362 1.51567 0.55000  -0.036

=====

Record 2
A structure of composition C3H7N2S, computed with wB97M-V/def2-TZVPD.

The calculation puts the molar mass at 103.170 g mol⁻¹. The total energy comes out at -625.8845 Ha. The energy above the lowest of the compared OMol25 structures with the same formula, charge and spin comes out at 2.387 eV. For the HOMO energy, the calculation gives -14.68 eV. The LUMO energy comes out at -4.7586 eV. As for the spin multiplicity: 1. The charge is +1. Its HOMO-LUMO gap is 9.926 eV.

Last column: natural (NBO) charge in e.
Cartesian coordinates (Å):
C1 0.97006 -0.15047 0.16133  0.224
C2 -0.78027 -1.07091 -0.30085  -0.194
C3 -0.27476 0.36332 -0.51820  -0.124
N1 0.48580 -1.35015 0.46473  -0.464
N2 -0.75422 1.37749 0.30563  -0.786
S1 2.54123 0.47305 0.37697  0.238
H1 -1.70491 -0.96479 0.40375  0.223
H2 -0.87423 -1.61528 -1.14196  0.228
H3 -0.21822 0.79537 -1.51239  0.258
H4 0.86903 -2.13940 0.81534  0.433
H5 2.50407 1.69676 -0.36650  0.221
H6 -0.98402 1.00275 1.22159  0.358
H7 -1.77955 1.58226 0.09057  0.386

=====

Record 3
An isolated molecule of C4H5NO2, computed with wB97M-V/def2-TZVPD.

The calculation puts the molar mass at 99.089 g mol⁻¹. The total energy comes out at -360.5775 Ha. The energy above the lowest of the compared OMol25 structures with the same formula, charge and spin comes out at 2.500 eV. For the HOMO energy, the calculation gives -10.09 eV. The LUMO energy comes out at -0.0461 eV. As for the spin multiplicity: 1. Its HOMO-LUMO gap is 10.045 eV. The SMILES is O=CC(=O)N1CC1.

Last column: natural (NBO) charge in e.
Cartesian coordinates (Å):
O1 0.34322 0.73878 2.93868  -0.471
C1 -0.10264 1.26931 1.95701  0.367
C2 -0.01573 0.83385 0.47954  0.569
O2 0.04662 1.78409 -0.27848  -0.547
N1 -0.30842 -0.44992 0.02135  -0.456
C3 -0.34012 -0.52782 -1.43137  -0.250
C4 0.48008 -1.49063 -0.67393  -0.210
H1 -0.61449 2.25402 1.99076  0.132
H2 0.14691 0.33110 -1.89445  0.230
H3 -1.29474 -0.82229 -1.85387  0.208
H4 0.09689 -2.49702 -0.49742  0.215
H5 1.56242 -1.42345 -0.75782  0.212

=====

Record 4
A structure of composition C27H18N5O2RbS2, computed with wB97M-V/def2-TZVPD.

The calculation puts the molar mass at 594.076 g mol⁻¹. The total energy comes out at -2284.5432 Ha. The energy above the lowest of the compared OMol25 structures with the same formula, charge and spin comes out at 0.000 eV. For the HOMO energy, the calculation gives -0.95 eV. The LUMO energy comes out at 3.7296 eV. As for the spin multiplicity: 1. The charge is -2. Its HOMO-LUMO gap is 4.679 eV.

Last column: natural (NBO) charge in e.
Cartesian coordinates (Å):
Rb1 -0.09768 0.03708 0.88139  0.919
C1 1.07514 -4.92202 0.80863  -0.268
C2 1.88751 -5.35052 -0.22513  -0.182
C3 2.29098 -4.43956 -1.18705  -0.250
C4 1.87481 -3.11394 -1.08690  0.152
N1 1.08015 -2.71212 -0.09709  -0.400
C5 0.69005 -3.58687 0.82590  0.044
C6 2.30329 -2.06970 -2.08234  0.250
C7 3.20945 -2.36266 -3.09701  -0.275
C8 3.56782 -1.35379 -3.97568  -0.182
C9 3.03202 -0.09417 -3.81262  -0.241
C10 2.14012 0.12305 -2.76147  0.215
N2 1.78077 -0.85569 -1.93177  -0.392
=====
Completed:
4